### Material
- - -
[1]
Compound: Zr2N2O
Source: the Materials Project database
Functional: PBE
Structure: optimized geometry

abc: 8.5290 3.1571 8.6060
angles: 90.00 90.30 90.00
Space group Pm (No. 6)
Unique sites:
Zr1 0.0000 0.0000 0.0000 (multiplicity 1)
Zr2 0.0007 0.5000 0.3641 (multiplicity 1)
Zr3 0.1871 0.0000 0.6773 (multiplicity 1)
Zr4 0.3222 0.0000 0.1795 (multiplicity 1)
Zr5 0.5018 0.5000 0.8732 (multiplicity 1)
Zr6 0.5088 0.0000 0.4956 (multiplicity 1)
Zr7 0.6818 0.5000 0.1955 (multiplicity 1)
Zr8 0.8301 0.5000 0.6833 (multiplicity 1)
N1 0.0611 0.5000 0.8070 (multiplicity 1)
N2 0.1346 0.5000 0.1327 (multiplicity 1)
N3 0.3761 0.5000 0.6417 (multiplicity 1)
N4 0.4441 0.5000 0.3084 (multiplicity 1)
N5 0.5568 0.0000 0.0591 (multiplicity 1)
N6 0.6978 0.5000 0.4539 (multiplicity 1)
N7 0.8723 0.0000 0.2248 (multiplicity 1)
N8 0.9482 0.0000 0.5599 (multiplicity 1)
O1 0.1934 0.0000 0.4114 (multiplicity 1)
O2 0.3174 0.0000 0.9083 (multiplicity 1)
O3 0.6373 0.0000 0.7329 (multiplicity 1)
O4 0.8040 0.5000 0.9469 (multiplicity 1)

Calculated values
Total DFT energy (no corrections): -9.69 eV/atom



[2]
Compound: AcDy3
Source: the Materials Project database
Functional: PBE
Structure: optimized geometry

abc: 5.2024 5.2024 10.2641
angles: 90.00 90.00 90.00
Space group I4/mmm (No. 139)
Unique sites:
Ac1 0.0000 0.0000 0.0000 (multiplicity 2)
Dy1 0.0000 0.0000 0.5000 (multiplicity 2)
Dy2 0.0000 0.5000 0.2500 (multiplicity 4)

Calculated values
Energy above the most stable polymorph in this dataset: 9 meV per atom



[3]
Compound: BaPrO3
Source: the Materials Project database
Functional: PBE
Structure: optimized geometry

abc: 6.4292 9.1381 6.4631
angles: 90.00 90.00 90.00
Space group Imma (No. 74)
Unique sites:
Ba1 0.0000 0.2500 0.0192 (multiplicity 4)
Pr1 0.0000 0.0000 0.5000 (multiplicity 4)
O1 0.0000 0.2500 0.6012 (multiplicity 4)
O2 0.2500 0.0607 0.2500 (multiplicity 8)

Calculated values
Total DFT energy (no corrections): -6.87 eV/atom



[4]
Compound: LiB11
Source: the Materials Project database
Functional: PBE
Structure: optimized geometry

abc: 4.8249 4.8249 13.0127
angles: 90.00 90.00 120.00
Space group R3m (No. 160, hexagonal axes)
Unique sites:
Li1 0.0000 0.0000 0.0000 (multiplicity 3)
B1 0.0000 0.0000 0.4314 (multiplicity 3)
B2 0.0000 0.0000 0.6854 (multiplicity 3)
B3 0.0692 0.5346 0.9840 (multiplicity 9)
B4 0.2064 0.4127 0.4623 (multiplicity 9)
B5 0.2136 0.4273 0.8748 (multiplicity 9)

Calculated values
Energy above the most stable polymorph in this dataset: 0 meV per atom



[5]
Compound: MgI2O6
Source: the Materials Project database
Functional: PBE
Structure: optimized geometry

abc: 6.7202 11.0557 8.3720
angles: 90.00 118.05 90.00
Space group P2_1/c (No. 14)
Unique sites:
Mg1 0.1351 0.0967 0.4379 (multiplicity 4)
I1 0.2236 0.0818 0.9681 (multiplicity 4)
I2 0.3545 0.7074 0.0727 (multiplicity 4)
O1 0.0180 0.5363 0.3325 (multiplicity 4)
O2 0.0474 0.2193 0.8996 (multiplicity 4)
O3 0.1470 0.5818 0.0177 (multiplicity 4)
O4 0.3682 0.1022 0.8301 (multiplicity 4)
O5 0.4142 0.1143 0.4069 (multiplicity 4)
O6 0.4457 0.7183 0.3153 (multiplicity 4)

Calculated values
Total DFT energy (no corrections): -4.71 eV/atom



[6]
Compound: NaDyCl4
Source: the Materials Project database
Functional: PBE
Structure: optimized geometry

abc: 6.6949 6.7861 7.0792
angles: 89.61 88.07 78.47
Space group P-1 (No. 2)
Unique sites:
Na1 0.2313 0.1980 0.0355 (multiplicity 2)
Dy1 0.2109 0.7002 0.4453 (multiplicity 2)
Cl1 0.0469 0.5034 0.7400 (multiplicity 2)
Cl2 0.0953 0.0020 0.7050 (multiplicity 2)
Cl3 0.3875 0.7925 0.1350 (multiplicity 2)
Cl4 0.4333 0.3148 0.3826 (multiplicity 2)

Calculated values
Total DFT energy (no corrections): -4.34 eV/atom


# PBE-GGA Te2As2SI6O2F12, relaxed
# - ΔH_f (0 K) (eV/atom) = -1.44
# - total magnetization (μB/f.u.) = 0.00
data_Te2As2SI6O2F12
_chemical_formula_sum 'Te8 As8 S4 I24 O8 F48'
_symmetry_space_group_name_H-M 'P 1'
_symmetry_Int_Tables_number 1
_symmetry_space_group_name_Hall 'P 1'
_cell_length_a 14.3052
_cell_length_b 14.4387
- - -

### Job
Could you quote the material earlier on verbatim?

### Response
[1]
Compound: Zr2N2O
Source: the Materials Project database
Functional: PBE
Structure: optimized geometry

abc: 8.5290 3.1571 8.6060
angles: 90.00 90.30 90.00
Space group Pm (No. 6)
Unique sites:
Zr1 0.0000 0.0000 0.0000 (multiplicity 1)
Zr2 0.0007 0.5000 0.3641 (multiplicity 1)
Zr3 0.1871 0.0000 0.6773 (multiplicity 1)
Zr4 0.3222 0.0000 0.1795 (multiplicity 1)
Zr5 0.5018 0.5000 0.8732 (multiplicity 1)
Zr6 0.5088 0.0000 0.4956 (multiplicity 1)
Zr7 0.6818 0.5000 0.1955 (multiplicity 1)
Zr8 0.8301 0.5000 0.6833 (multiplicity 1)
N1 0.0611 0.5000 0.8070 (multiplicity 1)
N2 0.1346 0.5000 0.1327 (multiplicity 1)
N3 0.3761 0.5000 0.6417 (multiplicity 1)
N4 0.4441 0.5000 0.3084 (multiplicity 1)
N5 0.5568 0.0000 0.0591 (multiplicity 1)
N6 0.6978 0.5000 0.4539 (multiplicity 1)
N7 0.8723 0.0000 0.2248 (multiplicity 1)
N8 0.9482 0.0000 0.5599 (multiplicity 1)
O1 0.1934 0.0000 0.4114 (multiplicity 1)
O2 0.3174 0.0000 0.9083 (multiplicity 1)
O3 0.6373 0.0000 0.7329 (multiplicity 1)
O4 0.8040 0.5000 0.9469 (multiplicity 1)

Calculated values
Total DFT energy (no corrections): -9.69 eV/atom



[2]
Compound: AcDy3
Source: the Materials Project database
Functional: PBE
Structure: optimized geometry

abc: 5.2024 5.2024 10.2641
angles: 90.00 90.00 90.00
Space group I4/mmm (No. 139)
Unique sites:
Ac1 0.0000 0.0000 0.0000 (multiplicity 2)
Dy1 0.0000 0.0000 0.5000 (multiplicity 2)
Dy2 0.0000 0.5000 0.2500 (multiplicity 4)

Calculated values
Energy above the most stable polymorph in this dataset: 9 meV per atom



[3]
Compound: BaPrO3
Source: the Materials Project database
Functional: PBE
Structure: optimized geometry

abc: 6.4292 9.1381 6.4631
angles: 90.00 90.00 90.00
Space group Imma (No. 74)
Unique sites:
Ba1 0.0000 0.2500 0.0192 (multiplicity 4)
Pr1 0.0000 0.0000 0.5000 (multiplicity 4)
O1 0.0000 0.2500 0.6012 (multiplicity 4)
O2 0.2500 0.0607 0.2500 (multiplicity 8)

Calculated values
Total DFT energy (no corrections): -6.87 eV/atom



[4]
Compound: LiB11
Source: the Materials Project database
Functional: PBE
Structure: optimized geometry

abc: 4.8249 4.8249 13.0127
angles: 90.00 90.00 120.00
Space group R3m (No. 160, hexagonal axes)
Unique sites:
Li1 0.0000 0.0000 0.0000 (multiplicity 3)
B1 0.0000 0.0000 0.4314 (multiplicity 3)
B2 0.0000 0.0000 0.6854 (multiplicity 3)
B3 0.0692 0.5346 0.9840 (multiplicity 9)
B4 0.2064 0.4127 0.4623 (multiplicity 9)
B5 0.2136 0.4273 0.8748 (multiplicity 9)

Calculated values
Energy above the most stable polymorph in this dataset: 0 meV per atom



[5]
Compound: MgI2O6
Source: the Materials Project database
Functional: PBE
Structure: optimized geometry

abc: 6.7202 11.0557 8.3720
angles: 90.00 118.05 90.00
Space group P2_1/c (No. 14)
Unique sites:
Mg1 0.1351 0.0967 0.4379 (multiplicity 4)
I1 0.2236 0.0818 0.9681 (multiplicity 4)
I2 0.3545 0.7074 0.0727 (multiplicity 4)
O1 0.0180 0.5363 0.3325 (multiplicity 4)
O2 0.0474 0.2193 0.8996 (multiplicity 4)
O3 0.1470 0.5818 0.0177 (multiplicity 4)
O4 0.3682 0.1022 0.8301 (multiplicity 4)
O5 0.4142 0.1143 0.4069 (multiplicity 4)
O6 0.4457 0.7183 0.3153 (multiplicity 4)

Calculated values
Total DFT energy (no corrections): -4.71 eV/atom



[6]
Compound: NaDyCl4
Source: the Materials Project database
Functional: PBE
Structure: optimized geometry

abc: 6.6949 6.7861 7.0792
angles: 89.61 88.07 78.47
Space group P-1 (No. 2)
Unique sites:
Na1 0.2313 0.1980 0.0355 (multiplicity 2)
Dy1 0.2109 0.7002 0.4453 (multiplicity 2)
Cl1 0.0469 0.5034 0.7400 (multiplicity 2)
Cl2 0.0953 0.0020 0.7050 (multiplicity 2)
Cl3 0.3875 0.7925 0.1350 (multiplicity 2)
Cl4 0.4333 0.3148 0.3826 (multiplicity 2)

Calculated values
Total DFT energy (no corrections): -4.34 eV/atom


# PBE-GGA Te2As2SI6O2F12, relaxed
# - ΔH_f (0 K) (eV/atom) = -1.44
# - total magnetization (μB/f.u.) = 0.00
data_Te2As2SI6O2F12
_chemical_formula_sum 'Te8 As8 S4 I24 O8 F48'
_symmetry_space_group_name_H-M 'P 1'
_symmetry_Int_Tables_number 1
_symmetry_space_group_name_Hall 'P 1'
_cell_length_a 14.3052
_cell_length_b 14.4387